Strategic Management Based on Perceived Brand Innovativenees Multi-Site Study at SDIT Nurul Anshar and SDN 4 Curah Jeru Situbondo District


  • Akmal Mundiri Universitas Nurul Jadid, Indonesia
  • Rifka Sri Agustina Universitas Nurul Jadid, Indonesia



What comes next are data records, not part of the entry:
/*
Entry 1:
DFT (PBE) results for Cs2KRbHg after structural relaxation.

Cell lengths 8.4190, 8.4190, 6.6127 Å; angles 90.00, 90.00, 90.00 degrees
Last column: nearest neighbours and their distance in Å.
Space group P4/mmm (No. 123)
Inequivalent atoms, fractional coordinates:
Cs (0.0000, 0.5000, 0.0000)  2 K 4.21
K (0.0000, 0.0000, 0.0000)  2 Hg 3.31
Rb (0.5000, 0.5000, 0.5000)  8 Cs 5.35, 4 Hg 5.95
Hg (0.0000, 0.0000, 0.5000)  2 K 3.31

Properties
Polymorph energy (0 for the lowest one): 158 meV per atom
Energy relative to the elements: 78 meV per atom
V: 93.74 Å³/atom
Calculated total energy: -0.737 eV per atom
Density of states at the Fermi level: 0.77 states/eV per atom


Entry 2:
DFT (PBE) results for Hf8CN6 after structural relaxation.

Cell lengths 8.4086, 8.4086, 3.2298 Å; angles 90.00, 90.00, 120.00 degrees
Last column: nearest neighbours and their distance in Å.
Space group P-3 (No. 147)
Inequivalent atoms, fractional coordinates:
Hf (0.0334, 0.6950, 0.2601)  4 N 2.16-2.35
Hf (0.3333, 0.6667, 0.7528)  6 N 2.26-2.28
C (0.0000, 0.0000, 0.5000)  6 Hf 2.82
N (0.1377, 0.4829, 0.2489)  6 Hf 2.16-2.35

Properties
V: 13.18 Å³/atom
Calculated total energy: -10.318 eV per atom
Formation energy from raw total energies: -1.06 eV/atom
Density of states at the Fermi level: 0.33 states/eV per atom


Entry 3:
DFT (PBE) results for Hf3CdTc2 after structural relaxation.

Cell lengths 3.3068, 3.3068, 10.4124 Å; angles 90.00, 90.00, 90.00 degrees
Last column: nearest neighbours and their distance in Å.
Space group P4/mmm (No. 123)
Inequivalent atoms, fractional coordinates:
Hf (0.0000, 0.0000, 0.0000)  8 Tc 2.88, 2 Hf 3.15
Hf (0.0000, 0.0000, 0.3024)  4 Tc 2.76
Cd (0.5000, 0.5000, 0.5000)  8 Hf 3.11, 4 Cd 3.31
Tc (0.5000, 0.5000, 0.1614)  8 Hf 2.76-2.88

Properties
Energy relative to the elements: -393 meV per atom
V: 18.98 Å³/atom
Calculated total energy: -8.977 eV per atom
Density of states at the Fermi level: 0.58 states/eV per atom


Entry 4:
DFT (PBE) results for Ac3Pa after structural relaxation.

Cell lengths 3.7538, 12.4922, 6.5814 Å; angles 90.00, 90.00, 90.00 degrees
Last column: nearest neighbours and their distance in Å.
Space group Imm2 (No. 44)
Inequivalent atoms, fractional coordinates:
Ac (0.0000, 0.0000, 0.0000)  4 Pa 3.67-3.90, 8 Ac 3.75-3.92
Ac (0.0000, 0.2328, 0.6277)  2 Pa 3.60, 9 Ac 3.75-3.92
Pa (0.0000, 0.5000, 0.9799)  8 Ac 3.60-3.90, 2 Pa 3.75

Properties
Polymorph energy (0 for the lowest one): 0 meV per atom
Energy relative to the elements: 374 meV per atom
V: 38.58 Å³/atom
Calculated total energy: -5.081 eV per atom
Density of states at the Fermi level: 2.04 states/eV per atom


Entry 5:
DFT (PBE) results for CeMgInPb after structural relaxation.

Cell lengths 4.5596, 4.7677, 4.9041 Å; angles 90.00, 90.00, 90.00 degrees
Last column: nearest neighbours and their distance in Å.
Space group Pmmm (No. 47)
Inequivalent atoms, fractional coordinates:
Ce (0.0000, 0.0000, 0.0000)  4 Pb 3.30, 4 In 3.35, 4 Mg 3.42
*/
End of the data records:

Brand Innovation, Management, Strategic


Brand development in improving brand quality at the elementary school (SD) level, namely SDIT Nurul Anshar and SDN 4 Curah Jeru, Situbondo Regency. Brand Innovation is defined to shape public perception, build public trust in the brand, build public love for the brand. The purpose of this article is to explain how as a leader you can develop a school brand to be better, where society currently really needs quality and superior schools to be a place of learning for its children, therefore a brand that is proven to be good will invite the public's trust to become the school of choice. This research uses a qualitative approach by interviewing school principals, teachers, parents, students, and the community as the main respondents. The data collected was then analyzed thematically to identify patterns and findings that emerged regarding the development of the school brand and its impact on the school and community. The research results show that brand development has a positive impact on school quality. Now many schools are following brand innovation methods that can improve school quality. This is achieved by school principals, teachers, students, and the community who can work together to achieve goals. There are several factors that influence school brand development, namely strategic planning which includes positioning, differentiation, and brand service processes. Followed by strategic implementation, namely developing superior programs, developing achievements, and forming character. In addition, this article highlights the importance of support and collaboration between school principals, teachers, students, parents, and the community to achieve optimal results. This research also provides a better understanding of the role of school principals in developing brands. The practical implication of this research is the importance of developing a school brand through appropriate training and education. By developing a school brand, it is hoped that it can improve school quality, community commitment and trust, which will ultimately have a positive impact on education in schools.

-- Unrelated to this article: data records --
/*
[1]
Here is a relaxed BaIr2Au crystal from Alexandria via LeMat-Bulk. Energies are from GGA-PBE.

The formation energy is 1.5 eV/f.u. For the density, the calculation gives 11.7 g cm⁻³. Its relative energy among the computed polymorphs is 506 meV/atom. The value obtained for the total magnetization is 0.00 μB per formula unit.

The space group is Imm2 (No. 44) and the conventional cell measures 4.346, 5.865 and 7.994 Å, with angles of 90.00, 90.00 and 90.00 degrees. The distinct sites, in fractional coordinates, are Ba at (0.000, 0.000, 0.000), Ir at (0.000, 0.000, 0.455), Ir at (0.000, 0.500, 0.832) and Au at (0.000, 0.500, 0.192).

=====

[2]
Here is a relaxed SmThPdAu crystal from Alexandria via LeMat-Bulk. Energies are from GGA-PBE.

The formation energy is -2.7 eV/f.u. For the density, the calculation gives 11.6 g cm⁻³. Its relative energy among the computed polymorphs is 106 meV/atom. The value obtained for the total magnetization is 0.00 μB per formula unit.

The space group is F-43m (No. 216) and the conventional cell measures 7.312, 7.312 and 7.312 Å, with angles of 90.00, 90.00 and 90.00 degrees. The distinct sites, in fractional coordinates, are Sm at (0.000, 0.000, 0.000), Th at (0.000, 0.000, 0.500), Pd at (0.250, 0.250, 0.250) and Au at (0.250, 0.250, 0.750).

=====

[3]
Here is a relaxed KReTc2 crystal from Alexandria via LeMat-Bulk. Energies are from GGA-PBE.

The formation energy is 5.0 eV/f.u. For the density, the calculation gives 9.2 g cm⁻³. Its relative energy among the computed polymorphs is 548 meV/atom. The value obtained for the total magnetization is 0.00 μB per formula unit.

The space group is Immm (No. 71) and the conventional cell measures 2.873, 5.373 and 9.836 Å, with angles of 90.00, 90.00 and 90.00 degrees. The distinct sites, in fractional coordinates, are K at (0.000, 0.000, 0.000), Re at (0.000, 0.000, 0.500) and Tc at (0.000, 0.500, 0.209).

~~~~~

Y2MgOs after structural relaxation, computed with GGA-PBE.

POSCAR file:
```
Y2MgOs
1.0
5.364 0.000 0.000
1.584 5.124 0.000
-3.474 -2.562 3.184
Os Y Mg
1 2 1
Cartesian
0.792 2.562 1.592 Os
0.000 0.000 0.000 Y
2.682 0.000 1.592 Y
3.474 2.562 0.000 Mg
```

Properties
SG ... I-4m2 (119)
Energy ... -25.32 eV for the cell shown
Crystal system ... tetragonal
ΔH_f (0 K) ... 0.11 eV/atom



Hg2TeRuS after structural relaxation, computed with GGA-PBE.

POSCAR file:
```
Hg2TeRuS
1.0
5.570 0.000 0.000
0.000 5.168 0.000
0.000 0.000 5.570
Hg Te Ru S
2 1 1 1
Cartesian
2.785 0.000 0.000 Hg
0.000 0.000 2.785 Hg
0.000 0.000 0.000 Te
2.785 2.584 2.785 Ru
0.000 2.584 0.000 S
```

Properties
SG ... P4/mmm (123)
Energy ... -10.64 eV for the cell shown
Raw formation energy ... 1.302 eV/atom
Crystal system ... tetragonal

~~~~~

Entry 1:
This record from Alexandria via LeMat-Bulk describes crystalline ZrIrOF2 at its relaxed geometry. The functional is PBEsol.

The structure in POSCAR format:
```
ZrIrOF2
1.0
4.346 0.000 0.000
0.000 4.346 0.000
0.000 0.000 3.776
Zr Ir O F
1 1 1 2
*/




How to Cite

Between two parts of the article: records of crystals:
~~~
Record 1
A plane-wave DFT calculation with PBE was carried out for an optimized crystal structure of LiSc4Cu5.

Computed properties:
Magnetization: 0.00 μB per atom
SG: P4/mmm (123)
D(E_F): 4.822 states/eV/f.u.
Final energy: -4.9896 eV per atom

a = 3.233 Å, b = 3.233 Å, c = 15.753 Å
α = 90.00°, β = 90.00°, γ = 90.00°
Fractional coordinates of all 10 atoms:
Li (0.000, 0.000, 0.000)
Sc (0.000, 0.000, 0.186)
Sc (0.000, 0.000, 0.396)
Sc (0.000, 0.000, 0.604)
Sc (0.000, 0.000, 0.814)
Cu (0.500, 0.500, 0.083)
Cu (0.500, 0.500, 0.291)
Cu (0.500, 0.500, 0.500)
Cu (0.500, 0.500, 0.709)
Cu (0.500, 0.500, 0.917)

Record 2
A plane-wave DFT calculation with PBE was carried out for an optimized crystal structure of Li2ScCu2.

Computed properties:
Magnetization: 0.00 μB per atom
SG: P4/mbm (127)
D(E_F): 3.633 states/eV/f.u.
Energy relative to the lowest polymorph listed for this composition: 40 meV/atom

a = 7.242 Å, b = 7.242 Å, c = 2.840 Å
α = 90.00°, β = 90.00°, γ = 90.00°
Fractional coordinates of all 10 atoms:
Li (0.115, 0.385, 0.000)
Li (0.385, 0.885, 0.000)
Li (0.615, 0.115, 0.000)
Li (0.885, 0.615, 0.000)
Sc (0.000, 0.000, 0.000)
Sc (0.500, 0.500, 0.000)
Cu (0.186, 0.686, 0.500)
Cu (0.314, 0.186, 0.500)
Cu (0.686, 0.814, 0.500)
Cu (0.814, 0.314, 0.500)

Record 3
A plane-wave DFT calculation with PBE was carried out for an optimized crystal structure of LiSc4Cu.

Computed properties:
Magnetization: 0.00 μB per atom
SG: F-43m (216)
D(E_F): 6.854 states/eV/f.u.
Final energy: -4.7095 eV per atom

a = 5.819 Å, b = 5.819 Å, c = 5.819 Å
α = 60.00°, β = 60.00°, γ = 60.00°
Fractional coordinates of all 6 atoms:
Li (0.000, 0.000, 0.000)
Sc (0.127, 0.624, 0.624)
Sc (0.624, 0.127, 0.624)
Sc (0.624, 0.624, 0.127)
Sc (0.624, 0.624, 0.624)
Cu (0.250, 0.250, 0.250)

Record 4
A plane-wave DFT calculation with PBE was carried out for an optimized crystal structure of LiSc2Cu.

Computed properties:
Magnetization: 0.00 μB per atom
SG: Pm (6)
D(E_F): 4.184 states/eV/f.u.
Final energy: -4.6455 eV per atom

a = 3.244 Å, b = 4.519 Å, c = 5.410 Å
α = 90.00°, β = 107.30°, γ = 90.00°
Fractional coordinates of all 4 atoms:
Li (0.000, 0.000, 0.000)
Sc (0.278, 0.000, 0.553)
Sc (0.580, 0.500, 0.159)
Cu (0.861, 0.500, 0.714)

Record 5
A plane-wave DFT calculation with PBE was carried out for an optimized crystal structure of LiSc2Cu.

Computed properties:
Magnetization: 0.00 μB per atom
SG: R-3m (166)
D(E_F): 4.725 states/eV/f.u.
Final energy: -4.5410 eV per atom

a = 9.550 Å, b = 9.550 Å, c = 9.550 Å
α = 19.48°, β = 19.48°, γ = 19.48°
Fractional coordinates of all 4 atoms:
Li (0.000, 0.000, 0.000)
Sc (0.238, 0.238, 0.238)
Sc (0.762, 0.762, 0.762)
Cu (0.500, 0.500, 0.500)

Record 6
A plane-wave DFT calculation with PBE was carried out for an optimized crystal structure of LiSc2Cu.

Computed properties:
Magnetization: 0.00 μB per atom
SG: F-43m (216)
D(E_F): 1.454 states/eV/f.u.
Final energy: -4.5275 eV per atom

a = 4.655 Å, b = 4.655 Å, c = 4.655 Å
~~~

Mundiri, A. ., & Agustina, R. S. . (2024). Strategic Management Based on Perceived Brand Innovativenees Multi-Site Study at SDIT Nurul Anshar and SDN 4 Curah Jeru Situbondo District. Global Education Journal, 2(3), 253-266.